What to do >
Now set down all of the listing underneath unchanged.

Material >
=====
## YIr3 (SCAN)

Data for a PBEsol-optimized structure of YIr3.

a b c (Å): 2.809 2.809 9.323
angles (deg): 90.00 90.00 120.00
Fractional positions:
1 Y 0.000 0.000 0.000
2 Ir 0.000 0.000 0.500
3 Ir 0.333 0.667 0.269
4 Ir 0.333 0.667 0.731

Results
Formation energy from the elements: 193 meV per atom
Space-group type: P-6m2
Crystal system: hexagonal
Spin magnetization: 0.00 μB per cell
Energy: -240.37 eV for the cell shown
Density: 17.4 g/cm³

=====

## Tl5C (SCAN)

Data for a PBEsol-optimized structure of Tl5C.

a b c (Å): 3.252 3.252 13.742
angles (deg): 90.00 90.00 90.00
Fractional positions:
1 Tl 0.000 0.000 0.000
2 Tl 0.000 0.000 0.388
3 Tl 0.000 0.000 0.612
4 Tl 0.500 0.500 0.193
5 Tl 0.500 0.500 0.807
6 C 0.500 0.500 0.500

Results
Formation energy from the elements: 830 meV per atom
Space-group type: P4/mmm
Crystal system: tetragonal
Spin magnetization: 0.01 μB per cell
Energy: -366.91 eV for the cell shown
Density: 11.8 g/cm³

=====

## Sr2AlBIr (SCAN)

Data for a PBEsol-optimized structure of Sr2AlBIr.

a b c (Å): 5.805 5.805 4.006
angles (deg): 90.00 90.00 90.00
Fractional positions:
1 Sr 0.000 0.500 0.000
2 Sr 0.500 0.000 0.000
3 Al 0.000 0.000 0.500
4 B 0.500 0.500 0.500
5 Ir 0.500 0.500 0.000

Results
Formation energy from the elements: 124 meV per atom
Space-group type: P4/mmm
Crystal system: tetragonal
Spin magnetization: 0.82 μB per cell
Energy: -130.21 eV for the cell shown
Density: 5.0 g/cm³

----------

VASP calculation (PBE with a Hubbard U) on Mn3CrF after structural relaxation.

crystal system	cubic
magnetization	9.91	μB/f.u.
distance to the lowest polymorph of the same formula	465	meV/atom
calculated density	2.9	g cm⁻³
calculated volume	27.0	Å³ per atom

Lattice parameters (Å, degrees): 5.1302 5.1302 5.1302 90.00 90.00 90.00
Last column: nearest neighbours and their distance in Å.
Space group Pm-3m (No. 221)
Symmetry-distinct sites (fractional):
Mn 0.0000 0.0000 0.5000 x3  2 Cr 2.57
Cr 0.0000 0.0000 0.0000 x1  6 Mn 2.57
F 0.5000 0.5000 0.5000 x1  12 Mn 3.63
=====

Reply >
## YIr3 (SCAN)

Data for a PBEsol-optimized structure of YIr3.

a b c (Å): 2.809 2.809 9.323
angles (deg): 90.00 90.00 120.00
Fractional positions:
1 Y 0.000 0.000 0.000
2 Ir 0.000 0.000 0.500
3 Ir 0.333 0.667 0.269
4 Ir 0.333 0.667 0.731

Results
Formation energy from the elements: 193 meV per atom
Space-group type: P-6m2
Crystal system: hexagonal
Spin magnetization: 0.00 μB per cell
Energy: -240.37 eV for the cell shown
Density: 17.4 g/cm³

=====

## Tl5C (SCAN)

Data for a PBEsol-optimized structure of Tl5C.

a b c (Å): 3.252 3.252 13.742
angles (deg): 90.00 90.00 90.00
Fractional positions:
1 Tl 0.000 0.000 0.000
2 Tl 0.000 0.000 0.388
3 Tl 0.000 0.000 0.612
4 Tl 0.500 0.500 0.193
5 Tl 0.500 0.500 0.807
6 C 0.500 0.500 0.500

Results
Formation energy from the elements: 830 meV per atom
Space-group type: P4/mmm
Crystal system: tetragonal
Spin magnetization: 0.01 μB per cell
Energy: -366.91 eV for the cell shown
Density: 11.8 g/cm³

=====

## Sr2AlBIr (SCAN)

Data for a PBEsol-optimized structure of Sr2AlBIr.

a b c (Å): 5.805 5.805 4.006
angles (deg): 90.00 90.00 90.00
Fractional positions:
1 Sr 0.000 0.500 0.000
2 Sr 0.500 0.000 0.000
3 Al 0.000 0.000 0.500
4 B 0.500 0.500 0.500
5 Ir 0.500 0.500 0.000

Results
Formation energy from the elements: 124 meV per atom
Space-group type: P4/mmm
Crystal system: tetragonal
Spin magnetization: 0.82 μB per cell
Energy: -130.21 eV for the cell shown
Density: 5.0 g/cm³

----------

VASP calculation (PBE with a Hubbard U) on Mn3CrF after structural relaxation.

crystal system	cubic
magnetization	9.91	μB/f.u.
distance to the lowest polymorph of the same formula	465	meV/atom
calculated density	2.9	g cm⁻³
calculated volume	27.0	Å³ per atom

Lattice parameters (Å, degrees): 5.1302 5.1302 5.1302 90.00 90.00 90.00
Last column: nearest neighbours and their distance in Å.
Space group Pm-3m (No. 221)
Symmetry-distinct sites (fractional):
Mn 0.0000 0.0000 0.5000 x3  2 Cr 2.57
Cr 0.0000 0.0000 0.0000 x1  6 Mn 2.57
F 0.5000 0.5000 0.5000 x1  12 Mn 3.63